Leading apparel brands, trade unions and women’s rights organizations sign binding agreements to combat gender-based violence and harassment at key supplier’s factories in Lesotho With support from U.S. labor organizations, collaborative program creates independent...
650 Million Workers Earn Less than 1% of World Income
## Unrelated to this article: calculated crystals
+++
# Sr8La3Ru3O21
Theoretical X-ray powder pattern, Cu Kα (weighted mean of Kα1 and Kα2). Input: a PBE-relaxed structure.
Lines closer than 0.1° are merged.

Crystal structure
abc: 5.801 6.949 14.877
angles: 98.34 90.55 114.30
Element x y z (fractional)
Sr 0.000 0.000 0.000
Sr 0.019 0.105 0.719
Sr 0.049 0.140 0.480
Sr 0.330 0.659 0.659
Sr 0.378 0.798 0.132
Sr 0.457 0.925 0.875
Sr 0.692 0.435 0.056
Sr 0.765 0.562 0.509
La 0.132 0.292 0.255
La 0.398 0.822 0.385
La 0.705 0.467 0.802
Ru 0.197 0.452 0.928
Ru 0.529 0.117 0.595
Ru 0.881 0.782 0.260
O 0.080 0.669 0.968
O 0.161 0.522 0.802
O 0.172 0.899 0.582
O 0.217 0.460 0.403
O 0.219 0.398 0.053
O 0.244 0.987 0.269
O 0.294 0.225 0.873
O 0.427 0.349 0.637
O 0.449 0.065 0.040
O 0.501 0.170 0.471
O 0.514 0.604 0.249
O 0.549 0.075 0.722
O 0.558 0.648 0.944
O 0.631 0.881 0.545
O 0.749 0.770 0.765
O 0.800 0.026 0.318
O 0.848 0.243 0.910
O 0.854 0.870 0.143
O 0.890 0.333 0.609
O 0.937 0.751 0.384
O 0.963 0.546 0.210

Largest 6 diffraction maxima, sorted by position, 10° ≤ 2θ ≤ 90°:
2theta, I_rel
14.47, 22
29.91, 30
30.20, 64
30.56, 48
30.79, 100
43.77, 22


# In3Sb5
Theoretical X-ray powder pattern, Cu Kα (weighted mean of Kα1 and Kα2). Input: a PBE-relaxed structure.
Lines closer than 0.1° are merged.

Crystal structure
abc: 9.179 9.179 3.332
angles: 90.00 90.00 120.00
Element x y z (fractional)
In 0.167 0.334 0.000
In 0.167 0.833 0.000
In 0.666 0.833 0.000
Sb 0.000 0.000 0.500
Sb 0.333 0.667 0.500
Sb 0.442 0.221 0.000
Sb 0.779 0.221 0.000
Sb 0.779 0.558 0.000

Largest 6 diffraction maxima, sorted by position, 10° ≤ 2θ ≤ 90°:
2theta, I_rel
29.73, 100
33.23, 59
35.15, 76
39.26, 51
43.64, 81
68.51, 48


# Tb4TlS6
Theoretical X-ray powder pattern, Cu Kα (weighted mean of Kα1 and Kα2). Input: a PBE-relaxed structure.
Lines closer than 0.1° are merged.

Crystal structure
abc: 6.902 6.902 21.030
angles: 90.00 90.00 146.55
Element x y z (fractional)
Tb 0.099 0.901 0.634
Tb 0.099 0.901 0.866
Tb 0.368 0.632 0.541
Tb 0.368 0.632 0.959
Tb 0.632 0.368 0.041
Tb 0.632 0.368 0.459
Tb 0.901 0.099 0.134
Tb 0.901 0.099 0.366
Tl 0.157 0.843 0.250
Tl 0.843 0.157 0.750
S 0.000 0.000 0.000
S 0.000 0.000 0.500
S 0.167 0.833 0.750
S 0.272 0.728 0.079
S 0.272 0.728 0.421
S 0.465 0.535 0.652
S 0.465 0.535 0.848
S 0.535 0.465 0.152
S 0.535 0.465 0.348
S 0.728 0.272 0.579
S 0.728 0.272 0.921
S 0.833 0.167 0.250

Largest 6 diffraction maxima, sorted by position, 10° ≤ 2θ ≤ 90°:
2theta, I_rel
24.89, 37
25.10, 100
26.66, 44
31.49, 67
32.94, 39
44.62, 41

~~~~~

Starting from a crystal structure in the Materials Project, relaxed with PBE+U, the powder diffractogram of BaFePHO5 was simulated for λ = 1.5418 Å (Cu Kα).
Neutral-atom scattering factors, no anomalous dispersion.

Largest 10 diffraction maxima, by angle, 2θ from 10° to 90°:
h k l	2theta	I_rel
1 0 1	19.5	19.6
0 2 2	26.6	56.4
1 1 2	26.8	29.5
1 2 1	27.9	100.0
0 3 1	31.3	17.2
1 0 3	31.9	65.6
2 0 0	35.2	36.3
0 2 4	41.1	22.9
2 2 2	44.6	27.8
1 3 4	50.7	16.9

Crystal structure
```
+++
Some 650 million workers around the world earn less than 1 percent of global income—a figure that has barely changed in 13 years, according to a new International Labor Organization (ILO) report. At the national level, the share of income going to workers is actually...
Bangladesh Garment Workers Safer after Fire Trainings
Six years ago, the preventable Rana Plaza collapse in Bangladesh killed 1,134 garment workers in the world’s worst garment industry disaster. Corporate greed, inadequate labor and building code enforcement, and worker exploitation all contributed to the April 24,...
Bringing Back the Heart: The Gender at Work Action Learning Process with Four South African Unions (2013)
Four South African unions took part in a unique process with the South Africa Gender Action Learning Program and Labour Research Service to challenge male–dominated, hierarchical cultures. This report describes the step-by-step journey that led to more women joining...
Informal Workers’ Organizing (WIEGO, 2013)
In overviewing self-organizing among such informal economy workers as waste pickers, domestic workers and construction workers, this report finds the lines are increasingly blurred between jobs in the formal and informal economies. This Solidarity Center report is...
Trade Unions Organizing Workers “Informalized from Above”: Case Studies from Cambodia, Colombia, South Africa and Tunisia (Rutgers, 2013)
Four case studies examine successful union organizing among workers whose jobs have been privatized, outsourced or contracted out. This Solidarity Center report is part of a multiyear research project, funded by the U.S. Agency forInternational Development, to study...
Informal Workers and Collective Bargaining: Case Studies from India, Georgia, Brazil, Liberia and Uruguay (WIEGO, 2013)
This report details a set of case studies on collective bargaining by informal workers in four different countries: Waste pickers in Minas Gerais state in Brazil, beedi workers in India, Georgia minibus taxi workers and street vendors in Monrovia, Liberia. The study...
SRI LANKA: Migrants Gain Voice and Protections (2013)
The Migrant Services Center, a Solidarity Center partner, is assisting migrant workers and their families in Sri Lanka while championing structural change through legislative and governmental processes, and offers a model for other labor and worker rights...
DOMESTIC WORKERS: Winning Recognition and Protection (2013)
Many domestic workers around the world are vulnerable to exploitation and not recognized by national labor laws. But in the Dominican Republic, domestic workers have campaigned to make gains over the last two decades—and a new Solidarity Center report shows how....